Hello everyone! I'm Elena, female, 40, and was diagnosed Type 1 (or maybe LADA) on 9/30/2014. It's been an interesting ride since then, to say the least.
I think I am still in the grieving process--it was several weeks before I didn't cry EVERY day about it, though I can still get teary and depressed pretty easily. I had been having prediabetes numbers for about a year prior to diagnosis, which the doctor and I both kind of pooh-pooh'd since I don't fit the mold for type 2 (I'm 5'4" and 110, no family history). But I had blood drawn on 9/30 and my fasting blood sugar was 288 and my A1C was 9.4. :( He started me on Janumet but I took only maybe 3 doses of that before he realized that I was more likely type 1 (I had major ketones, though my numbers were "only" in the high 200s with a couple of excursions into the 300s). Now I'm on Lantus at night and Humalog for meals.
I think the hardest part for me is that I actually feel a lot worse since diagnosis. I have had quite a few well meaning friends ask if I'm feeling better now that I'm being treated, and the answer is honestly no. I didn't feel bad at all at diagnosis. I only had two notable symptoms--I had lost 6 pounds in about 2 weeks without trying, and I often had trouble coming up with the correct word when speaking (several times daily). Now I've gained the weight back and most of the time I can speak correctly (unless I'm thinking about a million things, which I usually am!). But, oh, I feel terrible most of the time.
/*
(1)
Structure and calculated XRD peak list of RbGa6Cu3 (a structure optimized by DFT (PBE); CuKα).

Structure:
```
data_RbGa6Cu3
_chemical_formula_sum 'Rb2 Ga12 Cu6'
_space_group_name_H-M_alt 'P 1 21/c 1'
_space_group_IT_number 14
_cell_length_a 9.4584
_cell_length_b 6.2639
_cell_length_c 8.0143
_cell_angle_alpha 90.00
_cell_angle_beta 111.45
_cell_angle_gamma 90.00
loop_
_space_group_symop_operation_xyz
'x,y,z'
'-x,-y,-z'
'-x,y+1/2,-z+1/2'
'x,-y+1/2,z+1/2'
loop_
_atom_site_label
_atom_site_type_symbol
_atom_site_fract_x
_atom_site_fract_y
_atom_site_fract_z
Rb1 Rb 0.0000 0.0000 0.0000
Ga1 Ga 0.2320 0.0418 0.7080
Ga2 Ga 0.3186 0.6885 0.8860
Ga3 Ga 0.4695 0.1448 0.2737
Cu1 Cu 0.3278 0.1795 0.4762
Cu2 Cu 0.5000 0.0000 0.0000
```

Main lines, sorted by position (2θ from 10° to 90°):
hkl 1 0 0, 2θ 10.05, rel. 1000
hkl 1 1 1, 2θ 23.11, rel. 123
hkl 2 0 -2, 2θ 25.02, rel. 129
hkl 2 1 1, 2θ 30.63, rel. 309
hkl 3 0 -2, 2θ 31.15, rel. 116
hkl 2 2 1, 2θ 39.64, rel. 200
hkl 0 3 1, 2θ 45.09, rel. 133
hkl 1 3 -1, 2θ 45.24, rel. 156
hkl 4 1 -3, 2θ 46.30, rel. 116
hkl 2 2 2, 2θ 47.22, rel. 172

(2)
Structure and calculated XRD peak list of Cd3Pd7Pt2 (a structure optimized by DFT (PBE); CuKα).

Structure:
```
data_Cd3Pd7Pt2
_chemical_formula_sum 'Cd6 Pd14 Pt4'
_space_group_name_H-M_alt 'C m m m'
_space_group_IT_number 65
_space_group_name_Hall '-C 2 2'
_cell_length_a 4.6359
_cell_length_b 19.8134
_cell_length_c 4.7092
_cell_angle_alpha 90.00
_cell_angle_beta 90.00
_cell_angle_gamma 90.00
loop_
_atom_site_label
_atom_site_type_symbol
_atom_site_fract_x
_atom_site_fract_y
_atom_site_fract_z
Cd1 Cd 0.0000 0.0000 0.0000
Cd2 Cd 0.0000 0.1582 0.0000
Pd1 Pd 0.0000 0.0758 0.5000
Pd2 Pd 0.0000 0.2196 0.5000
Pd3 Pd 0.0000 0.4231 0.0000
Pd4 Pd 0.0000 0.5000 0.5000
Pt1 Pt 0.0000 0.3536 0.5000
```

Main lines, sorted by position (2θ from 10° to 90°):
hkl 0 0 1, 2θ 18.84, rel. 129
hkl 0 2 1, 2θ 20.89, rel. 71
hkl 1 3 1, 2θ 30.25, rel. 108
hkl 1 5 1, 2θ 35.37, rel. 118
hkl 0 0 2, 2θ 38.22, rel. 361
hkl 2 0 0, 2θ 38.85, rel. 345
hkl 1 7 1, 2θ 42.04, rel. 1000
hkl 2 0 2, 2θ 55.64, rel. 262
hkl 1 7 3, 2θ 71.70, rel. 200
hkl 3 7 1, 2θ 72.53, rel. 194

(3)
Structure and calculated XRD peak list of Cs3RbHg (a structure optimized by DFT (PBE); CuKα).

Structure:
```
data_Cs3RbHg
_chemical_formula_sum 'Cs12 Rb4 Hg4'
_space_group_name_H-M_alt 'P 42/m n m'
_space_group_IT_number 136
_space_group_name_Hall '-P 4n 2n'
_cell_length_a 16.8071
_cell_length_b 16.8071
_cell_length_c 5.7234
_cell_angle_alpha 90.00
_cell_angle_beta 90.00
_cell_angle_gamma 90.00
loop_
_atom_site_label
_atom_site_type_symbol
_atom_site_fract_x
_atom_site_fract_y
_atom_site_fract_z
Cs1 Cs 0.0002 0.3169 0.0000
Cs2 Cs 0.0984 0.0984 0.5000
Rb1 Rb 0.1911 0.8089 0.5000
Hg1 Hg 0.0690 0.9310 0.0000
```

Main lines, sorted by position (2θ from 10° to 90°):
hkl 2 0 0, 2θ 10.53, rel. 323
hkl 2 2 1, 2θ 21.56, rel. 222
hkl 3 0 1, 2θ 22.20, rel. 1000
hkl 3 3 0, 2θ 22.44, rel. 321
hkl 3 1 1, 2θ 22.83, rel. 372
*/
Here the article continues:
I feel depressed and discouraged. I feel broken and tired. I'm sick of counting carbs and worrying over whether or not this dose of insulin is going to work well or kill me. I miss so badly the freedom to eat just when I felt hungry, and trying to pick a relatively healthy choice but otherwise not really thinking about what all was in my food. I was able to get a Dexcom in November, which has mostly eliminated my terror about lows, but I still worry so much about everything.
I had my first post-dx A1C done on 12/30 and it was 6.7, which is definitely a lot better. But all that did was tell me what I had done in the past, now I face another 3-month period of stressing over whether or not what I'm doing is working or not. I'm feeling terribly emotional today--most days I can keep my numbers in decent ranges but last night after dinner it went to 270 and hung around there for a couple hours, so I ended up taking a correction. Stayed up until midnight to make sure the correction wasn't an overcorrection, and slept terrible after that. Then breakfast numbers went crazy, lunch a little less so because I purposely underbolused for my meal, but even so I'm just now down to 140s 3.5 hours after lunch. It isn't my monthly, and I don't feel like I'm catching anything, except that I feel lousy just overall.
(The piece is interrupted by materials data)
'''
Starting from a structure optimized by DFT (GGA-PBE), the XRD peak list of La2Pm2Y4Tm was simulated for Cu Kα X-rays.
Kinematic intensities with the Lorentz-polarization factor, no thermal factor.

Crystal structure
abc: 9.6400 9.6400 9.7008
angles: 115.20 115.20 21.84
Fractional coordinates of all 9 atoms:
La 0.1644 0.1644 0.4993
La 0.8356 0.8356 0.5007
Pm 0.3524 0.3524 0.8358
Pm 0.6476 0.6476 0.1642
Y 0.0199 0.0199 0.8332
Y 0.3152 0.3152 0.1635
Y 0.6848 0.6848 0.8365
Y 0.9801 0.9801 0.1668
Tm 0.5000 0.5000 0.5000

Principal peaks in the range 2θ = 10–90°, low angle first:
- 2θ = 28.46°, I 46
- 2θ = 30.68°, I 49
- 2θ = 31.43°, I 100
- 2θ = 33.10°, I 90
- 2θ = 39.62°, I 17
- 2θ = 44.92°, I 14
- 2θ = 50.04°, I 25
- 2θ = 53.93°, I 21
- 2θ = 57.17°, I 19
- 2θ = 59.75°, I 14
- 2θ = 59.85°, I 28
- 2θ = 85.25°, I 16

=====

Record 1
Diffraction record for Na2SnO2. The powder XRD pattern is simulated, not measured: it uses a DFT-relaxed cell (PBE, the Materials Project) and CuKα.
Kinematic intensities with the Lorentz-polarization factor, no thermal factor.

Top 10 peaks for 2θ = 5–70°, sorted by position:
2θ (°), intensity
13.88, 40
20.29, 59
20.88, 61
22.52, 81
30.59, 100
31.55, 35
36.95, 46
40.34, 78
40.67, 27
54.04, 33

Structure:
```
data_Na2SnO2
_chemical_formula_sum 'Na16 Sn8 O16'
_cell_length_a 17.015
_cell_length_b 6.880
_cell_length_c 5.852
_cell_angle_alpha 90.00
_cell_angle_beta 90.00
_cell_angle_gamma 90.00
_space_group_name_H-M_alt 'P 1'
_space_group_IT_number 1
loop_
_space_group_symop_operation_xyz
'x,y,z'
loop_
_atom_site_label
_atom_site_fract_x
_atom_site_fract_y
_atom_site_fract_z
Na1 0.000 0.121 0.250
Na2 0.000 0.373 0.750
Na3 0.000 0.627 0.250
Na4 0.000 0.879 0.750
Na5 0.147 0.125 0.581
Na6 0.147 0.875 0.081
Na7 0.353 0.375 0.081
Na8 0.353 0.625 0.581
Na9 0.500 0.127 0.250
Na10 0.500 0.379 0.750
Na11 0.500 0.621 0.250
Na12 0.500 0.873 0.750
Na13 0.647 0.375 0.419
Na14 0.647 0.625 0.919
Na15 0.853 0.125 0.919
Na16 0.853 0.875 0.419
Sn1 0.159 0.368 0.067
Sn2 0.159 0.632 0.567
Sn3 0.341 0.132 0.567
Sn4 0.341 0.868 0.067
Sn5 0.659 0.132 0.933
Sn6 0.659 0.868 0.433
Sn7 0.841 0.368 0.433
Sn8 0.841 0.632 0.933
O1 0.089 0.153 0.941
O2 0.089 0.847 0.441
O3 0.099 0.403 0.386
O4 0.099 0.597 0.886
O5 0.401 0.097 0.886
O6 0.401 0.903 0.386
O7 0.411 0.347 0.441
O8 0.411 0.653 0.941
O9 0.589 0.347 0.059
O10 0.589 0.653 0.559
O11 0.599 0.097 0.614
O12 0.599 0.903 0.114
O13 0.901 0.403 0.114
O14 0.901 0.597 0.614
O15 0.911 0.153 0.559
O16 0.911 0.847 0.059
```

=====

Record 2
Diffraction record for Na2SnO2. The powder XRD pattern is simulated, not measured: it uses a DFT-relaxed cell (PBE, the Materials Project) and CuKα.
Kinematic intensities with the Lorentz-polarization factor, no thermal factor.

Top 10 peaks for 2θ = 5–70°, sorted by position:
2θ (°), intensity
16.05, 53
18.18, 60
22.54, 30
23.34, 100
28.23, 34
31.67, 71
32.35, 73
34.05, 58
38.58, 81
52.39, 58

Structure:
```
data_Na2SnO2
_chemical_formula_sum 'Na8 Sn4 O8'
'''
(End of the materials data)
Here's your Tl;dr--I'm new to diabetes and I hate it. The End.